Given
┌──
[1]
# C18H19Br2F24NO4P

A structure of composition C18H19Br2F24NO4P (ωB97M-V/def2-TZVPD, the Open Molecules 2025 dataset).

Summary:
Largest force on an atom = 0.0184 hartree/bohr
Energy above the lowest of the compared OMol25 structures with the same formula, charge and spin = 10.5 kcal/mol
E_LUMO = 0.0615 Ha

```
! wB97M-V def2-TZVPD RIJCOSX def2/J DEFGRID3
* xyz -1 1
C 6.210 -4.923 -0.947
N 5.526 -6.160 -0.593
C 5.164 -7.001 -1.736
C 4.097 -8.004 -1.333
Br 4.256 -9.564 -2.585
P 2.439 -7.507 -1.609
O 2.526 -5.946 -2.225
Br 1.802 -6.911 0.545
H 7.192 -4.866 -0.470
H 5.649 -4.032 -0.650
H 6.349 -4.858 -2.030
H 4.715 -5.978 -0.018
H 6.051 -7.566 -2.036
H 4.875 -6.396 -2.611
H 2.075 -5.977 -3.082
C 2.894 -2.041 0.190
C 2.614 -2.670 1.561
C 1.360 -3.532 1.691
F 0.241 -2.789 1.491
F 1.303 -4.026 2.948
F 2.632 -1.708 2.520
F 3.661 -3.504 1.805
O 2.540 -0.675 0.019
C 1.308 -0.288 -0.402
C 0.621 0.586 0.653
F 0.443 -0.082 1.805
F -0.605 0.956 0.188
F 0.528 -1.312 -0.776
F 1.479 0.512 -1.494
H 3.978 -2.039 0.104
H 2.523 -2.666 -0.623
H 1.398 -4.354 0.974
H 1.214 1.480 0.854
C -2.473 3.337 4.843
C -2.672 4.763 4.307
C -4.106 5.280 4.163
F -4.801 4.553 3.267
F -4.059 6.559 3.722
F -2.012 4.915 3.141
F -2.087 5.594 5.222
O -2.215 2.318 3.904
C -3.222 1.612 3.300
C -3.187 1.800 1.783
F -3.356 3.108 1.463
F -4.204 1.106 1.221
F -4.434 1.911 3.814
F -2.997 0.303 3.533
H -1.555 3.394 5.426
H -3.263 3.058 5.541
H -4.621 5.262 5.127
H -2.239 1.456 1.375
C -2.856 3.671 -1.877
C -2.888 4.991 -2.660
C -3.718 5.040 -3.944
F -3.239 4.186 -4.869
F -3.650 6.294 -4.455
F -1.630 5.411 -2.913
F -3.467 5.909 -1.830
O -1.727 2.842 -2.049
C -1.657 1.895 -3.039
C -0.486 2.166 -3.986
F -0.633 3.368 -4.583
F -0.470 1.212 -4.944
F -2.823 1.772 -3.706
F -1.405 0.713 -2.441
H -2.801 3.974 -0.833
H -3.789 3.117 -1.985
H -4.765 4.805 -3.735
H 0.454 2.148 -3.431
*
```



[2]
# C4H8N2O2

A cluster of 2 separate species, C4H8N2O2 in total at a distorted geometry (ωB97M-V/def2-TZVPD, the Open Molecules 2025 dataset).

Summary:
Largest force on an atom = 0.0648 hartree/bohr
Energy above the lowest of the compared OMol25 structures with the same formula, charge and spin = 101.9 kcal/mol
E_LUMO = 0.0270 Ha

```
! wB97M-V def2-TZVPD RIJCOSX def2/J DEFGRID3
* xyz 0 1
C -3.321 -0.075 -0.154
C 0.581 1.126 0.812
C 0.924 0.775 -0.616
C -0.440 0.344 -0.018
N 1.911 -0.256 -0.879
N -0.145 -1.198 0.463
O -3.657 1.027 -0.186
O -3.145 -1.222 -0.038
H 1.198 0.602 1.660
H 0.374 2.119 1.014
H 0.757 1.695 -1.336
H 2.199 -0.373 -1.818
H 2.762 0.062 -0.399
H -0.494 -1.792 -0.278
H -0.492 -1.469 1.386
H 0.987 -1.364 0.389
*
```



[3]
# C3H5HgO3

A structure of composition C3H5HgO3 at a distorted geometry (ωB97M-V/def2-TZVPD, the Open Molecules 2025 dataset).

Summary:
Largest force on an atom = 0.0785 hartree/bohr
Energy above the lowest of the compared OMol25 structures with the same formula, charge and spin = 46.3 kcal/mol
E_LUMO (spin up / spin down) = -0.1325 / -0.2782 Ha

```
! wB97M-V def2-TZVPD RIJCOSX def2/J DEFGRID3
* xyz 1 3
H -1.008 0.816 -1.636
C -1.169 0.406 -0.633
C -0.526 1.148 0.543
O 0.877 0.984 0.280
C 1.076 -0.196 -0.333
O 1.900 -1.093 0.250
H -2.204 0.119 -0.422
H -0.757 0.145 1.269
H -0.764 2.212 0.605
H 2.473 -0.831 0.975
Hg 0.483 -2.930 -0.487
O -0.380 -0.780 -0.411
*
```



[4]
# C26H28F6NO2Zn

A structure of composition C26H28F6NO2Zn at a distorted geometry (ωB97M-V/def2-TZVPD, the Open Molecules 2025 dataset).

Summary:
Largest force on an atom = 0.0557 hartree/bohr
E_LUMO = 0.0939 Ha

```
! wB97M-V def2-TZVPD RIJCOSX def2/J DEFGRID3
* xyz -1 1
C 2.220 -0.001 0.641
C 2.274 -0.800 -0.517
C 1.779 -0.045 -1.608
H 2.710 -1.791 -0.617
C 1.345 1.234 -1.111
C 1.655 1.273 0.302
H 1.140 2.111 -1.732
C -1.173 -1.989 1.236
C -0.208 -2.854 0.664
C -0.318 -2.774 -0.757
H 0.487 -3.488 1.206
C -1.342 -1.865 -1.077
C -1.833 -1.295 0.172
H 1.902 -0.300 -2.664
H 1.764 2.195 0.867
H 2.598 -0.277 1.622
H -2.688 -0.617 0.286
H 0.238 -3.352 -1.492
H -1.403 -1.864 2.285
└──
Work order
Your job: search the material further above for the word "Summary" and write out each line that has it.
Worked solution
Summary:
Summary:
Summary:
Summary: